[Input]
-- begin --
(1)
## SnC2Cl2 (GGA-PBE)

Data for SnC2Cl2 after structural relaxation.

a b c (Å): 8.480 10.551 6.424
angles (deg): 90.00 90.00 90.00
Space group Imma (No. 74)
One atom of each set of equivalent atoms:
Sn 0.000 0.250 0.008 x4
C 0.198 0.250 0.817 x8
Cl 0.000 0.080 0.240 x8

Values from the calculation:
- Calculated density: 2.5 g/cm³
- Magnetic moment: 0.00 μB per formula unit



(2)
## SnC2Cl2 (GGA-PBE)

Data for SnC2Cl2 after structural relaxation.

a b c (Å): 5.277 11.374 8.567
angles (deg): 90.00 90.00 90.00
Space group Imma (No. 74)
One atom of each set of equivalent atoms:
Sn 0.000 0.250 0.052 x4
C 0.125 0.250 0.745 x8
Cl 0.000 0.080 0.264 x8

Values from the calculation:
- Calculated density: 2.8 g/cm³
- Magnetic moment: 0.00 μB per formula unit



Most stable structure: (1)

* * * * *

Model w:
A plane-wave DFT calculation with PBE was carried out for a geometry-optimized K2AlB5O14 structure.

Summary:
M_tot = 0.09 μB/atom
ρ = 2.0 g/cm³

Unit cell a=9.693 b=10.139 c=12.966 alpha=90.00 beta=90.00 gamma=90.00
Space group C222_1 (No. 20)
Symmetry-distinct sites (fractional):
K1 0.219 0.188 0.400 (multiplicity 8)
Al1 0.000 0.109 0.750 (multiplicity 4)
B1 0.084 0.319 0.620 (multiplicity 8)
B2 0.163 0.500 0.500 (multiplicity 4)
B3 0.236 0.029 0.177 (multiplicity 8)
O1 0.000 0.311 0.250 (multiplicity 4)
O2 0.003 0.213 0.639 (multiplicity 8)
O3 0.010 0.000 0.500 (multiplicity 4)
O4 0.063 0.377 0.178 (multiplicity 8)
O5 0.076 0.385 0.528 (multiplicity 8)
O6 0.146 0.006 0.747 (multiplicity 8)
O7 0.180 0.360 0.695 (multiplicity 8)
O8 0.249 0.041 0.912 (multiplicity 8)


Model x:
A plane-wave DFT calculation with PBE was carried out for a geometry-optimized K2AlB5O14 structure.

Summary:
M_tot = 0.27 μB/atom
ρ = 1.9 g/cm³

Unit cell a=7.010 b=13.422 c=7.035 alpha=90.00 beta=90.35 gamma=90.00
Space group P2_1 (No. 4)
Symmetry-distinct sites (fractional):
K1 0.023 0.000 0.404 (multiplicity 2)
K2 0.415 0.213 0.053 (multiplicity 2)
Al1 0.121 0.861 0.882 (multiplicity 2)
B1 0.207 0.786 0.252 (multiplicity 2)
B2 0.231 0.733 0.584 (multiplicity 2)
B3 0.250 0.437 0.204 (multiplicity 2)
B4 0.323 0.611 0.318 (multiplicity 2)
B5 0.417 0.990 0.769 (multiplicity 2)
O1 0.019 0.110 0.018 (multiplicity 2)
O2 0.127 0.363 0.160 (multiplicity 2)
O3 0.158 0.859 0.130 (multiplicity 2)
O4 0.182 0.805 0.448 (multiplicity 2)
O5 0.192 0.528 0.274 (multiplicity 2)
O6 0.218 0.753 0.772 (multiplicity 2)
O7 0.229 0.969 0.786 (multiplicity 2)
O8 0.255 0.244 0.566 (multiplicity 2)
O9 0.281 0.696 0.195 (multiplicity 2)
O10 0.286 0.319 0.663 (multiplicity 2)
O11 0.288 0.640 0.521 (multiplicity 2)
O12 0.445 0.418 0.184 (multiplicity 2)
O13 0.452 0.541 0.722 (multiplicity 2)
O14 0.476 0.082 0.708 (multiplicity 2)


The structure with the most favorable energy is model x; the runner-up is 4.4 kJ/mol of atoms above it.


Model w:
A plane-wave DFT calculation with PBE was carried out for a geometry-optimized BaAl2H10C2O13 structure.

Summary:
M_tot = 0.00 μB/atom
ρ = 2.7 g/cm³

Unit cell a=5.679 b=9.984 c=10.691 alpha=115.52 beta=95.63 gamma=92.73
Space group P-1 (No. 2)
Symmetry-distinct sites (fractional):
Ba1 0.211 0.144 0.192 (multiplicity 2)
Al1 0.000 0.000 0.500 (multiplicity 1)
Al2 0.000 0.500 0.500 (multiplicity 1)
Al3 0.500 0.000 0.500 (multiplicity 1)
Al4 0.500 0.500 0.500 (multiplicity 1)
H1 0.053 0.202 0.917 (multiplicity 2)
H2 0.114 0.523 0.212 (multiplicity 2)
H3 0.159 0.762 0.986 (multiplicity 2)
H4 0.195 0.795 0.312 (multiplicity 2)
H5 0.223 0.397 0.901 (multiplicity 2)
H6 0.241 0.293 0.512 (multiplicity 2)
H7 0.252 0.694 0.458 (multiplicity 2)
H8 0.298 0.202 0.666 (multiplicity 2)
H9 0.333 0.582 0.165 (multiplicity 2)
H10 0.433 0.329 0.956 (multiplicity 2)
C1 0.286 0.952 0.716 (multiplicity 2)
C2 0.313 0.608 0.771 (multiplicity 2)
O1 0.044 0.838 0.034 (multiplicity 2)
O2 0.075 0.964 0.662 (multiplicity 2)
O3 0.094 0.579 0.707 (multiplicity 2)
O4 0.162 0.588 0.169 (multiplicity 2)
O5 0.222 0.867 0.411 (multiplicity 2)
-- stop --

[Work order]
Print every line further above that contains the word "was", please.

[Result]
A plane-wave DFT calculation with PBE was carried out for a geometry-optimized K2AlB5O14 structure.
A plane-wave DFT calculation with PBE was carried out for a geometry-optimized K2AlB5O14 structure.
A plane-wave DFT calculation with PBE was carried out for a geometry-optimized BaAl2H10C2O13 structure.